# File
+++
{"formula": "C20H50N2O7", "method": "ωB97M-V/def2-TZVPD", "species": ["C", "C", "C", "C", "C", "C", "C", "C", "C", "N", "O", "H", "H", "H", "H", "H", "H", "H", "H", "H", "H", "H", "H", "H", "H", "H", "H", "H", "H", "H", "C", "C", "C", "C", "C", "C", "C", "C", "C", "N", "O", "H", "H", "H", "H", "H", "H", "H", "H", "H", "H", "H", "H", "H", "H", "H", "H", "H", "H", "H", "O", "C", "C", "O", "H", "H", "H", "H", "H", "H", "O", "H", "H", "O", "H", "H", "O", "H", "H"], "coordinates": [[4.235, -1.978, -2.743], [5.428, -2.907, -3.086], [5.563, -3.144, -4.577], [6.698, -2.210, -2.637], [7.017, -2.274, -1.164], [7.132, -3.701, -0.786], [5.868, -4.519, -1.042], [6.233, -6.012, -1.099], [4.906, -4.170, 0.135], [5.345, -4.271, -2.423], [4.224, -5.050, -2.725], [3.227, -2.389, -2.807], [4.308, -1.617, -1.717], [4.232, -1.176, -3.481], [4.698, -3.645, -5.011], [5.632, -2.155, -5.028], [6.436, -3.756, -4.806], [7.669, -2.446, -3.071], [6.470, -1.178, -2.906], [7.974, -1.820, -0.909], [6.352, -1.636, -0.582], [7.458, -3.769, 0.252], [7.952, -4.080, -1.396], [6.708, -6.367, -0.184], [6.915, -6.294, -1.901], [5.437, -6.722, -1.327], [4.544, -3.145, 0.049], [5.297, -4.274, 1.147], [4.019, -4.802, 0.080], [3.622, -4.717, -2.055], [-5.308, 5.282, 0.190], [-4.067, 4.876, 1.039], [-2.964, 4.595, -0.003], [-3.579, 5.996, 1.917], [-4.299, 6.173, 3.239], [-4.226, 4.851, 3.986], [-4.853, 3.671, 3.172], [-4.492, 2.420, 4.030], [-6.388, 3.746, 3.207], [-4.276, 3.621, 1.844], [-4.669, 2.586, 1.070], [-5.361, 4.848, -0.809], [-6.250, 5.018, 0.670], [-5.306, 6.350, -0.026], [-3.139, 3.726, -0.636], [-2.936, 5.389, -0.749], [-1.995, 4.396, 0.456], [-2.493, 6.050, 1.991], [-3.723, 6.889, 1.309], [-3.713, 6.902, 3.799], [-5.325, 6.509, 3.088], [-4.672, 5.138, 4.938], [-3.199, 4.550, 4.194], [-3.427, 2.347, 4.252], [-4.756, 1.476, 3.554], [-5.027, 2.480, 4.977], [-6.873, 2.775, 3.103], [-6.950, 4.367, 2.509], [-6.718, 4.233, 4.124], [-5.598, 2.754, 0.893], [-4.468, -3.579, -5.363], [-4.722, -4.437, -4.213], [-4.122, -3.864, -2.873], [-2.704, -4.003, -3.015], [-3.596, -3.825, -5.683], [-5.809, -4.482, -4.147], [-4.362, -5.465, -4.242], [-4.532, -4.405, -2.020], [-4.333, -2.818, -2.651], [-2.391, -3.639, -3.846], [1.606, 4.120, 4.658], [1.265, 3.774, 3.834], [1.759, 5.049, 4.483], [-0.468, 0.222, 1.051], [-1.282, 0.726, 1.039], [-0.635, -0.517, 0.467], [1.494, -0.521, 5.063], [1.543, 0.352, 5.455], [0.740, -0.478, 4.476]], "smiles": "CC1(C)CCCC(C)(C)N1O.CC1(C)CCCC(C)(C)N1O.OCCO.O.O.O", "e_above_lowest_kcal_mol": 31.21, "total_energy_ha": -1428.03408, "orbital_gap_ha": 0.3038, "charge": 0}

=====
+++
# Work order
Count the lines earlier on that contain the word "def2-TZVPD" and give the number alone.
# Written answer
1